Brief:
Search the calculation results further below for the word "an" and duplicate each line that has it.

Source:
/*
A plane-wave DFT calculation with GGA-PBE was carried out for an optimized crystal structure of CeCu2As2.

Geometry as CIF:
```
data_CeCu2As2
_cell_length_a 3.946
_cell_length_b 23.180
_cell_length_c 3.954
_cell_angle_alpha 90.00
_cell_angle_beta 90.00
_cell_angle_gamma 90.00
_symmetry_space_group_name_H-M 'C m c m'
_symmetry_Int_Tables_number 63
_symmetry_space_group_name_Hall '-C 2c 2'
loop_
_atom_site_label
_atom_site_type_symbol
_atom_site_fract_x
_atom_site_fract_y
_atom_site_fract_z
Ce1 Ce 0.000 0.149 0.250
Cu1 Cu 0.000 0.036 0.750
Cu2 Cu 0.000 0.464 0.750
As1 As 0.000 0.250 0.750
As2 As 0.000 0.397 0.250
```

Summary:
Its final energy is -5.31 eV per atom. As for the volume: 361.7 Å³/cell.
*/

Outcome:
A plane-wave DFT calculation with GGA-PBE was carried out for an optimized crystal structure of CeCu2As2.